A member of government in America used the expression “Jew down.” She said it is a verb. Well, she was right about that. She used it as a verb. “To negotiate” for a better price.

Jew down is, of course, a derogatory, antisemitic trope. It stereotypes Jews as being unfair in negotiations, haggling down the price to the point the poor merchant will not make a dime because Jews are cheap. Oh those Jews!

Trenton City Council President Kathy McBride said her city’s assistant attorney was able to get the most out of a personal injury claim against the city, as they settled at a lower amount because they were “able to wait her out and Jew her down.” It was a proud moment for McBride. I am going to assume that she said this happily as they were able to save money.

Councilwoman Robin Vaughn from Trenton’s West Ward made remarks that showed support for McBride, saying the term “Jew down” was a verb meaning to negotiate fiercely, and in no way a hateful term. Vaughn told the New Jersey Globe,

“We really need to get a more acute meaning and understanding of ‘antisemitic.’  I believe her comment ‘Jew down’ was more in reference to negotiating, not ‘I hate Jews.’ Inappropriate in today’s PC culture absolutely, but to Jew someone down is a verb and is not anti-anything or indicative of hating Jewish people.”

Ignorance is bliss, but never a justification for derogatory, hurtful remarks based on race, colour, creed, religion or sexual orientation.I suppose what takes my breath away is that black Americans face derogatory remarks all the time; yet these women cannot see that what they repeated was a hateful stereotype. Are we all blind to hate toward others?

This was a learning experience that too many tried to explain away or justify.

My favourite was a swipe at the president of the USA, Donald Trump, blaming him “for creating an environment that fosters a rise in anti-Semitism in the United States” that led to McBride’s comment and Vaughn’s justification, when he has been the most sympathetic President toward the Jewish people and the state of Israel. The gentleman who accused the President added,

“It’s America in the 1930s again.”

Misplaced records of crystals:
┌──
Diffraction record for Sn3Pt. The powder XRD pattern is simulated, not measured: it uses a structure optimized by DFT (PBE) and copper Kα.
No peak broadening, texture or thermal motion is included.

Largest 10 diffraction maxima, in order of rising 2θ, 2θ from 10° to 80°:
2θ/deg  I (rel.)
14.6  40
32.8  87
34.4  100
34.8  45
36.4  43
40.6  53
46.0  25
49.0  25
50.0  21
64.3  25

```
Sn3Pt
1.0
1.8604 -6.0482 0.0000
1.8604 6.0482 0.0000
0.0000 0.0000 8.5489
Sn Pt
6 2
Direct
0.0653 0.9347 0.7500
0.3591 0.6409 0.5588
0.3591 0.6409 0.9412
0.6409 0.3591 0.0588
0.6409 0.3591 0.4412
0.9347 0.0653 0.2500
0.2618 0.7382 0.2500
0.7382 0.2618 0.7500
```

***

Diffraction record for SnPt7. The powder XRD pattern is simulated, not measured: it uses a structure optimized by DFT (PBE) and copper Kα.
No peak broadening, texture or thermal motion is included.

Largest 10 diffraction maxima, in order of rising 2θ, 2θ from 10° to 80°:
2θ/deg  I (rel.)
38.7  100
40.0  52
44.6  53
45.8  9
48.0  13
64.9  18
65.8  13
67.6  19
78.2  27
79.1  15

```
SnPt7
1.0
2.8727 0.0000 0.0000
0.0000 2.8727 0.0000
0.0000 0.0000 43.6053
Sn Pt
2 14
Direct
0.2500 0.2500 0.1655
0.7500 0.7500 0.8345
0.2500 0.2500 0.2584
0.2500 0.2500 0.3463
0.2500 0.2500 0.4338
0.2500 0.2500 0.5221
0.2500 0.2500 0.6100
0.2500 0.2500 0.6974
0.2500 0.2500 0.7872
0.7500 0.7500 0.2128
0.7500 0.7500 0.3026
0.7500 0.7500 0.3900
0.7500 0.7500 0.4779
0.7500 0.7500 0.5662
0.7500 0.7500 0.6537
0.7500 0.7500 0.7416
```

***

Diffraction record for Sn2Pt7. The powder XRD pattern is simulated, not measured: it uses a structure optimized by DFT (PBE) and copper Kα.
No peak broadening, texture or thermal motion is included.

Largest 10 diffraction maxima, in order of rising 2θ, 2θ from 10° to 80°:
2θ/deg  I (rel.)
37.0  43
38.0  100
38.9  19
39.1  20
41.9  22
43.6  36
45.3  58
63.3  37
76.9  17
78.8  22

```
Sn2Pt7
1.0
2.9388 0.0000 0.0000
-1.4694 2.5451 0.0000
0.0000 0.0000 32.3763
Sn Pt
2 7
Direct
0.3333 0.6667 0.2243
0.6667 0.3333 0.7757
0.0000 0.0000 0.2954
0.0000 0.0000 0.5000
0.0000 0.0000 0.7046
0.3333 0.6667 0.4329
0.3333 0.6667 0.6348
0.6667 0.3333 0.3652
0.6667 0.3333 0.5671
```

***

Diffraction record for SnPt7. The powder XRD pattern is simulated, not measured: it uses a structure optimized by DFT (PBE) and copper Kα.
No peak broadening, texture or thermal motion is included.

Largest 10 diffraction maxima, in order of rising 2θ, 2θ from 10° to 80°:
2θ/deg  I (rel.)
37.6  27
39.0  100
39.7  62
43.7  18
45.5  41
46.2  31
65.4  22
66.8  27
77.9  16
79.3  17

```
SnPt7
1.0
2.8548 0.0000 0.0000
0.0000 3.9350 0.0000
0.0000 0.0000 36.1797
Sn Pt
2 14
Direct
0.2500 0.2500 0.2059
0.7500 0.7500 0.7941
0.2500 0.2500 0.2872
0.2500 0.2500 0.3650
0.2500 0.2500 0.4424
0.2500 0.2500 0.5193
0.2500 0.2500 0.5962
0.2500 0.2500 0.6739
0.2500 0.2500 0.7538
0.7500 0.7500 0.2462
0.7500 0.7500 0.3261
0.7500 0.7500 0.4038
0.7500 0.7500 0.4807
0.7500 0.7500 0.5576
0.7500 0.7500 0.6350
0.7500 0.7500 0.7128
```

***
└──
So much for the records of crystals:

He got that right. But the hate is not coming from the President or the right. It is coming from the Progressive Humanists on the left. People like Linda Sarsour, Ilhan Omar, Rashid Tlaib, Louis Farrakhan, members of the Congressional Black Caucus, and the fact that  not one Democrat leader has admonished any of these people. Perhaps that is the reason that Jew hatred slips off the tongue so easily.

But once gain I digress, as do the people who try to excuse hateful comments. Don’t make excuses. Wake up to the fact that what you said was inappropriate. Period.

When I was in my early twenties at the University of Toronto, I was walking down the street with a friend from class. Now, Toronto was not a diverse city at that time. It was, for want of a better description, like white bread. I can’t remember what we were discussing but she said and “I Jewed him down.”  And I stopped and looked at her and asked her what that meant. She was apoplectic-terribly embarrassed. And I told her to just tell me what that meant. I am Jewish and had never heard that expression. I was probably one of the first Jews she ever met. So she explained it to me. And I understood why she had said it. This was, and remains, an expression that is popular. It wasn’t her fault that she said it. It fit the description of the event. But I doubt she ever said it again. She realized that it was hurtful.  A hateful stereotype. A learning experience.

And then there is hateful sign language. Who knew? Belgians use the gestures of a hook-nose and side curls to represent Jew.


The Flemish Sign Language Center offered a defense. The videos used to teach sign language and depicting these gestures have been online for years. Well that justifies everything, doesn’t it?

Unlike my young friend who turned various shades of red and could not apologize enough, too many, today, try to justify their hate and blame everyone but themselves.


Enough already. Just grow up.


From the Ethics of the Fathers: “Rabbi Tarfon used to say, it is not incumbent upon you to complete the task, but you are not exempt from undertaking it.”